Job =
What is needed: start at the top of the material below and duplicate each line, ending with the one that has "(4)".

Source =
<<<
(1)
## Ba4Si22Au (PBE)

Data for crystalline Ba4Si22Au at its relaxed geometry.

abc: 10.409 10.492 10.409
angles: 90.00 89.97 90.00
Element x y z (fractional)
Si 0.315 0.936 0.181
Si 0.001 0.500 0.001
Si 0.810 0.632 0.998
Si 0.300 0.250 0.381
Si 0.693 0.250 0.620
Si 0.183 0.065 0.688
Si 0.502 0.054 0.117
Si 0.183 0.435 0.688
Si 0.997 0.127 0.193
Si 0.001 0.000 0.001
Si 0.318 0.937 0.814
Si 0.810 0.868 0.998
Si 0.881 0.556 0.503
Si 0.502 0.446 0.117
Si 0.498 0.250 0.750
Si 0.315 0.564 0.181
Si 0.181 0.436 0.315
Si 0.503 0.056 0.881
Si 0.117 0.946 0.502
Si 0.814 0.063 0.318
Si 0.181 0.064 0.315
Si 0.303 0.250 0.620
Si 0.117 0.554 0.502
Si 0.620 0.750 0.693
Si 0.688 0.935 0.183
Si 0.695 0.250 0.384
Si 0.998 0.368 0.810
Si 0.318 0.563 0.814
Si 0.688 0.565 0.183
Si 0.814 0.066 0.687
Si 0.997 0.373 0.193
Si 0.193 0.873 0.997
Si 0.750 0.750 0.498
Si 0.503 0.444 0.881
Si 0.193 0.627 0.997
Si 0.881 0.944 0.503
Si 0.687 0.934 0.814
Si 0.814 0.437 0.318
Si 0.687 0.566 0.814
Si 0.998 0.132 0.810
Si 0.814 0.434 0.687
Si 0.620 0.750 0.303
Si 0.384 0.750 0.695
Si 0.381 0.750 0.300
Ba 0.488 0.000 0.488
Ba 0.012 0.750 0.256
Ba 0.256 0.250 0.012
Ba 0.499 0.750 0.000
Ba 0.000 0.250 0.499
Ba 0.013 0.750 0.746
Ba 0.746 0.250 0.013
Ba 0.488 0.500 0.488
Au 0.251 0.750 0.499
Au 0.499 0.250 0.251

Results
Final energy: -5.00 eV per atom
Volume: 1136.7 Å³/cell

=====

(2)
## BaSiAu2 (PBE)

Data for crystalline BaSiAu2 at its relaxed geometry.

abc: 5.536 5.536 5.536
angles: 135.11 112.62 84.66
Element x y z (fractional)
Si 0.250 0.750 0.500
Au 0.069 0.069 0.000
Au 0.431 0.431 0.000
Ba 0.750 0.250 0.500

Results
Final energy: -3.71 eV per atom
Volume: 106.3 Å³/cell

=====

(3)
## BaSi4Au12 (PBE)

Data for crystalline BaSi4Au12 at its relaxed geometry.

abc: 7.737 7.737 7.737
angles: 109.47 109.47 109.47
Element x y z (fractional)
Si 0.000 0.500 0.000
Si 0.500 0.500 0.500
Si 0.500 0.000 0.000
Si 0.000 0.000 0.500
Au 0.657 0.823 0.166
Au 0.343 0.177 0.834
Au 0.166 0.657 0.823
Au 0.166 0.343 0.509
Au 0.491 0.834 0.657
Au 0.823 0.166 0.657
Au 0.509 0.166 0.343
Au 0.343 0.509 0.166
Au 0.834 0.657 0.491
Au 0.657 0.491 0.834
Au 0.834 0.343 0.177
Au 0.177 0.834 0.343
Ba 0.000 0.000 0.000

Results
Final energy: -3.76 eV per atom
Volume: 356.6 Å³/cell

=====

(4)
## BaSiAu3 (PBE)

Data for crystalline BaSiAu3 at its relaxed geometry.

abc: 14.182 8.966 8.966
angles: 118.67 136.36 43.64
Element x y z (fractional)
Au 0.037 0.868 0.828
Au 0.963 0.132 0.172
Au 0.350 0.460 0.840
Au 0.573 0.274 0.773
Au 0.463 0.328 0.368
Au 0.650 0.540 0.160
Au 0.150 0.340 0.960
Au 0.927 0.273 0.774
Au 0.850 0.660 0.040
Au 0.427 0.726 0.227
Au 0.537 0.672 0.632
Au 0.073 0.727 0.226
Si 0.250 0.495 0.995
Si 0.750 0.505 0.005
Si 0.750 0.225 0.725
Si 0.250 0.775 0.275
Ba 0.735 0.118 0.268
Ba 0.235 0.232 0.382
Ba 0.265 0.882 0.732
Ba 0.765 0.768 0.618

Results
Final energy: -3.83 eV per atom
ΔE to the lowest computed polymorph: 158 meV per atom
Volume: 540.6 Å³/cell

=====

> volume of number 4 (BaSiAu3)?

540.6 Å³/cell

=====

> What is the final energy in the fourth record?

-3.83 eV per atom

=====

> Look up the final energy of the third one.

-3.76 eV per atom

=====

> Which of these has the lowest final energy?

Ba4Si22Au

----------

[1]
VASP calculation (PBE) on a relaxed structure of Ce2TcP.

Output
Symmetry: No. 166
Energy: -7.402 eV/atom

Unit cell a=4.0244 b=4.0244 c=20.1773 alpha=90.00 beta=90.00 gamma=120.00
Sites, in units of the cell vectors:
Ce (0.0000, 0.0000, 0.2460)
Ce (0.0000, 0.0000, 0.7540)
Ce (0.3333, 0.6667, 0.4207)
Ce (0.3333, 0.6667, 0.9126)
Ce (0.6667, 0.3333, 0.0874)
Ce (0.6667, 0.3333, 0.5793)
Tc (0.0000, 0.0000, 0.5000)
Tc (0.3333, 0.6667, 0.1667)
Tc (0.6667, 0.3333, 0.8333)
P (0.0000, 0.0000, 0.0000)
P (0.3333, 0.6667, 0.6667)
P (0.6667, 0.3333, 0.3333)

[2]
VASP calculation (PBE) on a relaxed structure of CeTcP2.

Output
Symmetry: No. 166
Relative energy among the computed polymorphs: 1041 meV/atom
Energy: -6.503 eV/atom
>>>

Reply =
(1)
## Ba4Si22Au (PBE)

Data for crystalline Ba4Si22Au at its relaxed geometry.

abc: 10.409 10.492 10.409
angles: 90.00 89.97 90.00
Element x y z (fractional)
Si 0.315 0.936 0.181
Si 0.001 0.500 0.001
Si 0.810 0.632 0.998
Si 0.300 0.250 0.381
Si 0.693 0.250 0.620
Si 0.183 0.065 0.688
Si 0.502 0.054 0.117
Si 0.183 0.435 0.688
Si 0.997 0.127 0.193
Si 0.001 0.000 0.001
Si 0.318 0.937 0.814
Si 0.810 0.868 0.998
Si 0.881 0.556 0.503
Si 0.502 0.446 0.117
Si 0.498 0.250 0.750
Si 0.315 0.564 0.181
Si 0.181 0.436 0.315
Si 0.503 0.056 0.881
Si 0.117 0.946 0.502
Si 0.814 0.063 0.318
Si 0.181 0.064 0.315
Si 0.303 0.250 0.620
Si 0.117 0.554 0.502
Si 0.620 0.750 0.693
Si 0.688 0.935 0.183
Si 0.695 0.250 0.384
Si 0.998 0.368 0.810
Si 0.318 0.563 0.814
Si 0.688 0.565 0.183
Si 0.814 0.066 0.687
Si 0.997 0.373 0.193
Si 0.193 0.873 0.997
Si 0.750 0.750 0.498
Si 0.503 0.444 0.881
Si 0.193 0.627 0.997
Si 0.881 0.944 0.503
Si 0.687 0.934 0.814
Si 0.814 0.437 0.318
Si 0.687 0.566 0.814
Si 0.998 0.132 0.810
Si 0.814 0.434 0.687
Si 0.620 0.750 0.303
Si 0.384 0.750 0.695
Si 0.381 0.750 0.300
Ba 0.488 0.000 0.488
Ba 0.012 0.750 0.256
Ba 0.256 0.250 0.012
Ba 0.499 0.750 0.000
Ba 0.000 0.250 0.499
Ba 0.013 0.750 0.746
Ba 0.746 0.250 0.013
Ba 0.488 0.500 0.488
Au 0.251 0.750 0.499
Au 0.499 0.250 0.251

Results
Final energy: -5.00 eV per atom
Volume: 1136.7 Å³/cell

=====

(2)
## BaSiAu2 (PBE)

Data for crystalline BaSiAu2 at its relaxed geometry.

abc: 5.536 5.536 5.536
angles: 135.11 112.62 84.66
Element x y z (fractional)
Si 0.250 0.750 0.500
Au 0.069 0.069 0.000
Au 0.431 0.431 0.000
Ba 0.750 0.250 0.500

Results
Final energy: -3.71 eV per atom
Volume: 106.3 Å³/cell

=====

(3)
## BaSi4Au12 (PBE)

Data for crystalline BaSi4Au12 at its relaxed geometry.

abc: 7.737 7.737 7.737
angles: 109.47 109.47 109.47
Element x y z (fractional)
Si 0.000 0.500 0.000
Si 0.500 0.500 0.500
Si 0.500 0.000 0.000
Si 0.000 0.000 0.500
Au 0.657 0.823 0.166
Au 0.343 0.177 0.834
Au 0.166 0.657 0.823
Au 0.166 0.343 0.509
Au 0.491 0.834 0.657
Au 0.823 0.166 0.657
Au 0.509 0.166 0.343
Au 0.343 0.509 0.166
Au 0.834 0.657 0.491
Au 0.657 0.491 0.834
Au 0.834 0.343 0.177
Au 0.177 0.834 0.343
Ba 0.000 0.000 0.000

Results
Final energy: -3.76 eV per atom
Volume: 356.6 Å³/cell

=====

(4)